


Women’s EXPO

Women’s EXPO

Women's EXPO

What is the Women’s EXPO?

The Women’s EXPO is a showcase and a marketplace for Long Island women entrepreneurs: artisans, importers, designers and distributors of products such as jewelry, clothing, fine art, pottery and wood/metal/leather/glassware, children’s items, culturally diverse crafts, fiber art, specialty food items, gift baskets, household accessories, paper products and more. Our last in-person EXPO featured more than 80 exhibitors and over 2,500 attendees.

Where and When

The 20th Annual Women’s EXPO will be held in-person a from 11 AM – 6 PM on Thursday, October 5 2023.

Click here for more information and to access the EXPO website.

# These calculated molecules were left in the page by mistake
+++
1.
+++


The goal of the EXPO is to provide a venue for women entrepreneurs on Long Island to market their products, serving as a vehicle to promote economic development as well as networking among women entrepreneurs and women in the business and not-for-profit world.

Presented By

The Women’s EXPO is presented by the Middle Country Library Foundation. The Foundation supports the library’s regional and national initiatives. For more that two decades, the library has been recognized for its leadership in developing community, business and professional coalitions and networks, and initiating collaborative projects which address the needs of individuals, families, organizations and businesses.

Planning Committee

The EXPO Planning Committee includes representatives from the MCL Foundation as well as a number of business support organizations, women’s organizations, educational and cultural institutions, LI business and corporate sponsors, independent business women, and the Library’s Miller Business Center.

Women’s EXPO Sponsors 2023

Sponsorship opportunities available. Please call 631-585-9393 x 296 for details.

How are exhibitors selected?

Participants submit an application, along with an application fee and pictures of their work. The EXPO Selection Committee reviews all applications, looking for a representative group that reflects a broad range of products that demonstrate quality, uniqueness, a range of prices and product types, and also showcases the wonderful diversity that has become part of Long Island. A diverse group of women entrepreneurs as well as a diverse product selection is definitely a goal of the EXPO.

Educational Support Beyond the EXPO

Beyond the EXPO, the EXPO Planning Committee organizes one or more educational workshops to build the business skills and capacities of participating women entrepreneurs and others. The women exhibitors are also connected with the expertise and resources available through the individuals and organizations represented on the Planning Committee.